• Job:
The reader should find "'-x,y,-z'" and "0.1876 0.2501" in the rows further below, and print these two lines and those between.

• Material:
/*
Simulated X-ray powder pattern of Tb2CeGe2Pt7 for Cu Ka, from DFT lattice parameters and positions (GGA-PBE).
No peak broadening, texture or thermal motion is included.

Crystal structure
```
data_Tb2CeGe2Pt7
_cell_length_a 5.8153
_cell_length_b 5.7297
_cell_length_c 14.1773
_cell_angle_alpha 90.00
_cell_angle_beta 99.15
_cell_angle_gamma 90.00
_symmetry_space_group_name_H-M 'C 1 2/m 1'
_symmetry_Int_Tables_number 12
loop_
_symmetry_equiv_pos_as_xyz
'x,y,z'
'-x,-y,-z'
'-x,y,-z'
'x,-y,z'
'x+1/2,y+1/2,z'
'-x+1/2,-y+1/2,-z'
'-x+1/2,y+1/2,-z'
'x+1/2,-y+1/2,z'
loop_
_atom_site_label
_atom_site_type_symbol
_atom_site_fract_x
_atom_site_fract_y
_atom_site_fract_z
_atom_site_occupancy
Tb1 Tb 0.1237 0.0000 0.3607 1
Ce1 Ce 0.0000 0.0000 0.0000 1
Ge1 Ge 0.1021 0.5000 0.2600 1
Pt1 Pt 0.0000 0.5000 0.0000 1
Pt2 Pt 0.1357 0.5000 0.4328 1
Pt3 Pt 0.1876 0.2501 0.8432 1
```

Largest 6 diffraction maxima, by angle, 2θ = 5–70°:
d_spacing, 2θ/deg, I/Imax
13.997, 6.31, 51
2.804, 31.92, 52
2.639, 33.97, 42
2.518, 35.66, 94
2.440, 36.83, 100
2.040, 44.42, 83

***

Simulated X-ray powder pattern of TlCdBrF2 for Cu Ka, from DFT lattice parameters and positions (GGA-PBE).
No peak broadening, texture or thermal motion is included.

Crystal structure
```
data_TlCdBrF2
_cell_length_a 4.5580
_cell_length_b 4.5580
_cell_length_c 5.5890
_cell_angle_alpha 90.00
_cell_angle_beta 90.00
_cell_angle_gamma 90.00
_symmetry_space_group_name_H-M 'P 4/m m m'
_symmetry_Int_Tables_number 123
_symmetry_space_group_name_Hall '-P 4 2'
loop_
_atom_site_label
_atom_site_type_symbol
_atom_site_fract_x
_atom_site_fract_y
_atom_site_fract_z
_atom_site_occupancy
Tl1 Tl 0.0000 0.0000 0.0000 1
Cd1 Cd 0.5000 0.5000 0.5000 1
Br1 Br 0.5000 0.5000 0.0000 1
F1 F 0.0000 0.5000 0.5000 1
```

Largest 6 diffraction maxima, by angle, 2θ = 5–70°:
d_spacing, 2θ/deg, I/Imax
3.532, 25.21, 100
3.223, 27.68, 94
2.793, 32.04, 92
2.279, 39.54, 54
2.111, 42.83, 67
1.766, 51.76, 49

***

Simulated X-ray powder pattern of CoB6N6 for Cu Ka, from DFT lattice parameters and positions (GGA-PBE).
No peak broadening, texture or thermal motion is included.

Crystal structure
```
data_CoB6N6
_cell_length_a 4.5143
_cell_length_b 4.5143
_cell_length_c 4.5143
_cell_angle_alpha 90.00
_cell_angle_beta 90.00
_cell_angle_gamma 90.00
_symmetry_space_group_name_H-M 'P m -3'
_symmetry_Int_Tables_number 200
_symmetry_space_group_name_Hall '-P 2 2 3'
loop_
_atom_site_label
_atom_site_type_symbol
_atom_site_fract_x
_atom_site_fract_y
_atom_site_fract_z
_atom_site_occupancy
Co1 Co 0.0000 0.0000 0.0000 1
B1 B 0.0000 0.2450 0.5000 1
N1 N 0.0000 0.5000 0.2518 1
```

Largest 6 diffraction maxima, by angle, 2θ = 5–70°:
d_spacing, 2θ/deg, I/Imax
4.514, 19.67, 100
2.606, 34.41, 31
2.257, 39.94, 42
2.019, 44.90, 48
1.843, 49.46, 82
1.505, 61.64, 19

----------

Computed powder diffraction line list
Compound: Tb2Pm5Pr2
Radiation: CuKα
Structure: a crystal structure in Alexandria, relaxed with PBE

Structural model:
```
data_Tb2Pm5Pr2
_chemical_formula_sum 'Tb2 Pm5 Pr2'
_cell_length_a 8.939
_cell_length_b 3.617
_cell_length_c 9.876
_cell_angle_alpha 90.00
_cell_angle_beta 103.49
_cell_angle_gamma 90.00
_symmetry_space_group_name_H-M 'P 1 2/m 1'
_symmetry_Int_Tables_number 10
_symmetry_space_group_name_Hall '-P 2y'
loop_
_atom_site_label
_atom_site_type_symbol
_atom_site_fract_x
_atom_site_fract_y
_atom_site_fract_z
_atom_site_occupancy
Tb1 Tb 0.164 0.000 0.112 1
Pm1 Pm 0.147 0.500 0.788 1
Pm2 Pm 0.183 0.000 0.463 1
Pm3 Pm 0.500 0.000 0.000 1
Pr1 Pr 0.476 0.500 0.318 1
```

Peak list (8 most intense, 2θ = 10–80°, in order of rising 2θ)
d (Å), I/Imax
3.070, 65
2.924, 94
2.898, 91
2.889, 89
2.800, 80
2.783, 100
1.916, 37
1.538, 27

=====

Computed powder diffraction line list
Compound: DyEr2Sc7
Radiation: CuKα
Structure: a crystal structure in Alexandria, relaxed with PBE

Structural model:
```
data_DyEr2Sc7
_chemical_formula_sum 'Dy2 Er4 Sc14'
_cell_length_a 7.447
_cell_length_b 17.143
_cell_length_c 4.975
_cell_angle_alpha 90.00
*/

• Done:
'-x,y,-z'
'x,-y,z'
'x+1/2,y+1/2,z'
'-x+1/2,-y+1/2,-z'
'-x+1/2,y+1/2,-z'
'x+1/2,-y+1/2,z'
loop_
_atom_site_label
_atom_site_type_symbol
_atom_site_fract_x
_atom_site_fract_y
_atom_site_fract_z
_atom_site_occupancy
Tb1 Tb 0.1237 0.0000 0.3607 1
Ce1 Ce 0.0000 0.0000 0.0000 1
Ge1 Ge 0.1021 0.5000 0.2600 1
Pt1 Pt 0.0000 0.5000 0.0000 1
Pt2 Pt 0.1357 0.5000 0.4328 1
Pt3 Pt 0.1876 0.2501 0.8432 1